Alrighty then, here's the Tweedy Tam, ready for the internet (and if it's not, please let me know!).
Here's what I did. I made two versions - one for an adult that measures about 19 inches in circumference at the band, and one for kids that started at 15 inches (so, for a toddler or so) but that I blocked to fit a child's medium (8 - 10). Pictured here is how I would wear it (and how I placed it on Mary's head!) but you can see how Anna rocks it
Yarn: Rowan Felted Tweed, one ball
Needles: 1 16" circular and one set of DPNs in a size to give you a gauge of 5 sts/inch in stockinette. For me, this is a size 4 with this yarn, but caution! I'm a loose knitter (and I mean that in the best sense!).
BeginCO 72 (96) sts on the circular needle (you'll switch to the DPNs during the decreases) and join for working in the round, being careful not to twist. Place marker to indicate beginning of round.
RibbingKnit 1 inch of k1p1 ribbing.
Increase Round
## Calculated crystals, kept here for reference
********
First-principles (PBE-GGA) data for ErMnSi3Ir after structural relaxation, as listed in the Alexandria database.

Computed properties:
density of states at the Fermi level: 5.61 states/eV/cell
ρ: 7.605 g/cm³
volume: 18.148 A^3/atom
VASP energy: -6.830 eV/atom

a = 6.6077 Å, b = 6.6077 Å, c = 5.3440 Å
α = 90.00°, β = 90.00°, γ = 111.04°
Atoms (fractional coordinates):
Er1 0.2308 0.7692 0.7500
Er2 0.7692 0.2308 0.2500
Mn1 0.0467 0.9533 0.2500
Mn2 0.9533 0.0467 0.7500
Si1 0.2393 0.7607 0.2500
Si2 0.2400 0.2400 0.0000
Si3 0.2400 0.2400 0.5000
Si4 0.7600 0.7600 0.0000
Si5 0.7600 0.7600 0.5000
Si6 0.7607 0.2393 0.7500
Ir1 0.4418 0.5582 0.2500
Ir2 0.5582 0.4418 0.7500

~~~~~

(1)
Entry from Alexandria via LeMat-Bulk: a geometry-optimized Nd2DyYSc structure (PBE).

Lattice parameters (Å, degrees): 6.2359 7.8579 6.5764 90.00 90.00 90.00
Fractional positions:
Nd1 0.2500 0.2024 0.2106
Nd2 0.2500 0.7976 0.2106
Nd3 0.7500 0.2024 0.7894
Nd4 0.7500 0.7976 0.7894
Dy1 0.2500 0.0000 0.6819
Dy2 0.7500 0.0000 0.3181
Y1 0.2500 0.5000 0.5902
Y2 0.7500 0.5000 0.4098
Sc1 0.0000 0.5000 0.0000
Sc2 0.5000 0.5000 0.0000

Output
Space-group type   No. 51
DFT total energy   -0.3807 Ry per atom

---

(2)
Entry from Alexandria via LeMat-Bulk: a geometry-optimized Nd5DyY2Sc structure (PBE).

Lattice parameters (Å, degrees): 11.3235 11.3235 10.2383 90.00 90.00 152.46
Fractional positions:
Nd1 0.9999 0.0001 0.0000
Nd2 0.0001 0.9999 0.5000
Nd3 0.1260 0.8740 0.7498
Nd4 0.2210 0.7790 0.0619
Nd5 0.2216 0.7784 0.4364
Nd6 0.4992 0.5008 0.2499
Nd7 0.5008 0.4992 0.7499
Nd8 0.7784 0.2216 0.9364
Nd9 0.7790 0.2210 0.5619
Nd10 0.8740 0.1260 0.2498
Dy1 0.1014 0.8986 0.2499
Dy2 0.8986 0.1014 0.7499
Y1 0.3843 0.6157 0.5017
Y2 0.3839 0.6161 0.9980
Y3 0.6157 0.3843 0.0017
Y4 0.6161 0.3839 0.4980
Sc1 0.2855 0.7145 0.7492
Sc2 0.7145 0.2855 0.2492

Output
Space-group type   No. 36
DFT total energy   -0.3806 Ry per atom

---

(3)
Entry from Alexandria via LeMat-Bulk: a geometry-optimized Nd2DyY4Sc structure (PBE).

Lattice parameters (Å, degrees): 5.0418 5.0418 10.0244 90.00 90.00 90.00
Fractional positions:
Nd1 0.0000 0.0000 0.0000
Nd2 0.5000 0.5000 0.5000
Dy1 0.0000 0.0000 0.5000
Y1 0.0000 0.5000 0.2453
Y2 0.0000 0.5000 0.7547
Y3 0.5000 0.0000 0.2453
Y4 0.5000 0.0000 0.7547
Sc1 0.5000 0.5000 0.0000

Output
Space-group type   No. 123
DFT total energy   -0.4229 Ry per atom

---

(4)
Entry from Alexandria via LeMat-Bulk: a geometry-optimized NdDyScZn structure (PBE).

Lattice parameters (Å, degrees): 3.4944 3.4944 8.5482 90.00 90.00 90.00
Fractional positions:
Nd1 0.0000 0.0000 0.0000
Dy1 0.5000 0.5000 0.6867
Sc1 0.5000 0.5000 0.2881
Zn1 0.0000 0.0000 0.4630

Output
Space-group type   No. 99
ΔE to the lowest computed polymorph   0.000 eV per atom

---

(5)
Entry from Alexandria via LeMat-Bulk: a geometry-optimized NdDyScZn structure (PBE).

Lattice parameters (Å, degrees): 5.2775 5.2775 5.2775 60.00 60.00 60.00
Fractional positions:
Nd1 0.0000 0.0000 0.0000
Dy1 0.5000 0.5000 0.5000
********
## Back to the entry
*k2,m1; repeat from * to end of round. I used the backward-loop m1. At the end, you should have 108 (144) sts. If you used another multiple of six, you'll have half again as many as you started out with, which you can check using math (plus you can tell your kids that they really will use algebra in real life!):
Let x = number of cast-on sts
Let y = number of sts after the increase round
y = x + (x/2)
BodyKnit every round until piece measures 2.5 (3) inches from increase round. This isn't an exact science; if you want more slouch, knit a little further!
Prepare for DecreasesYou must now divide your sts into six segments to create the pattern of holes and decreases.
*K18 (24), place marker; repeat from * to end.
Remember y? If you used some other number besides 72 or 96 to begin with, you'll have to bust out the math skills again, but this is more 3rd-grade-level math rather than middle school level.
y/6 = number of sts between each marker.
DecreaseRound 1: *yo, ssk, knit to last two sts before marker, k2tog; repeat from * to end. You have decreased 6 sts.
Round 2: knit to end of round.
Regardless of how many sts you started with, repeat these two rounds until you have 3 sts between each marker, switching to DPNs when needed.
Finishing*k1, k2tog all the way around. You should have 12 sts total.
*k all sts all the way around
*k2tog; repeat from * to end, removing all markers as you go except for the one that marks the beginning of the round. You should have 6 sts left.
*k2tog all the way around, removing the last marker. You should have 3 sts left.
Topping it OffAt this point, you have a choice. You could've stopped at 6 sts, broken the yarn, drawn the yarn through the sts and fastened off.
But since we've got those 3 live sts on a DPN, let's make a little i-cord.
*k3, slide the three knit sts to the other side of the same needle without turning work, and knit them again. Here's a
tutorial if you need it. Repeat from * until i-cord is as long as you want it. You can leave it like a little tail or you can put a knot in it; just break your yarn, thread it through the live sts with a needle, and then weave it in to fasten.
BlockingYou can block your tam or not, depending on how you feel. I blocked the smaller tam so it would fit my 9-year-old, despite the fact that it was knit at the toddler gauge.
To block, fit the tam over a plate. I used a dinner plate on the small hat to make it larger. Steam with an iron, or spritz with a squirt bottle, or whatever method you prefer to get it wet, and then let it dry on the plate. The steam iron is quick and I'm impatient, so there you go - just be careful to use only the steam and not burn your knitting!

Copyright 2007 Lydia McNeil - You may not use this pattern for profit or reproduce it for profit; you may use it to knit hats for yourself, for others, or most certainly for charity, but not to sell.